/*
Molecular formula: C4H11N3
Method: DFT, the ωB97M-V functional and the def2-TZVPD basis

Geometry (Å):
C -0.868 -0.185 -0.128
C -0.596 -0.472 -1.599
C -1.233 1.261 0.172
N 1.694 -1.024 1.072
C 1.525 0.120 0.369
N 0.581 -1.572 1.669
N 2.112 1.185 0.201
H 2.253 -1.711 0.577
H -1.735 -0.795 0.165
H 0.368 -0.964 2.463
H -0.228 -0.917 0.784
H 1.728 1.786 -0.526
H 0.167 0.196 -2.011
H -0.251 -1.498 -1.747
H -1.502 -0.343 -2.205
H -1.369 1.428 1.243
H -2.171 1.537 -0.324
H -0.476 1.968 -0.175

Atoms 1-2, force components in eV/Å:
C 0.2 0.0 0.0
C -0.1 0.0 0.0

Computed properties:
Energy above the lowest of the compared OMol25 structures with the same formula, charge and spin in eV: 5.789
HOMO level in eV: -8.05
Frontier orbital gap in eV: 8.4

Molecular formula: C4H11N3
Method: DFT, the ωB97M-V functional and the def2-TZVPD basis

Geometry (Å):
C -2.097 -0.802 0.522
N -0.969 0.126 0.373
N -1.141 1.121 -0.635
H -0.553 0.573 1.210
H -1.573 0.737 -1.471
H -0.221 1.392 -0.990
H -2.099 -1.502 -0.318
H -3.032 -0.244 0.521
H -1.972 -1.357 1.448
C 0.650 -0.716 0.195
C 2.230 1.388 0.593
C 1.037 -1.014 -1.055
N 1.477 0.611 1.215
H 0.655 -1.481 0.960
H 2.293 1.314 -0.519
H 2.848 2.141 1.099
H 1.465 -1.979 -1.275
H 1.003 -0.309 -1.872

Atoms 1-2, force components in eV/Å:
C 0.4 0.6 -0.1
N 2.0 -0.2 0.3

Computed properties:
Energy above the lowest of the compared OMol25 structures with the same formula, charge and spin in eV: 6.437
HOMO level in eV: -6.79
Frontier orbital gap in eV: 7.7

Molecular formula: C4H11N3
Method: DFT, the ωB97M-V functional and the def2-TZVPD basis

Geometry (Å):
C -0.640 0.798 -1.802
C -0.802 0.265 -0.594
N -2.037 0.101 0.011
C 0.379 -0.249 0.220
*/
It remains to filter the block above: keep the lines with the word "the".
Method: DFT, the ωB97M-V functional and the def2-TZVPD basis
Energy above the lowest of the compared OMol25 structures with the same formula, charge and spin in eV: 5.789
Method: DFT, the ωB97M-V functional and the def2-TZVPD basis
Energy above the lowest of the compared OMol25 structures with the same formula, charge and spin in eV: 6.437
Method: DFT, the ωB97M-V functional and the def2-TZVPD basis